Job =
It remains to find the line further down that holds "2.532 2.066", then restate that line and all lines after it there.

Entries =
┌──
25
Properties=species:S:1:pos:R:3 method="wB97M-V/def2-TZVPD" lumo_energy_ev=0.49 e_above_lowest_kj_mol=172.6 e_homo_ev=-8.13 gap_ev=8.61 spin_multiplicity=1
C -3.815 0.524 0.355
C -3.133 0.513 -0.827
C -3.160 0.166 1.532
C -1.752 0.388 -0.864
C -1.893 -0.263 1.467
C -1.108 0.081 0.337
C 2.435 1.714 -0.699
C 3.133 0.455 -0.553
C 1.688 0.443 -0.723
C 0.903 -2.454 1.258
O 0.974 0.874 1.926
P 0.692 0.097 0.761
H -4.894 0.663 0.258
H -3.751 0.623 -1.693
H -3.737 -0.088 2.418
H -1.148 0.768 -1.740
H -1.401 -0.545 2.390
H 2.209 2.396 0.118
H 2.541 2.165 -1.662
H 3.755 0.300 -1.340
H 3.522 0.295 0.375
H 1.273 -0.048 -1.596
H 1.857 -2.542 1.824
H 0.018 -2.689 1.705
H 0.854 -2.613 0.195

---

25
Properties=species:S:1:pos:R:3 method="wB97M-V/def2-TZVPD" lumo_energy_ev="-4.94 / -5.09" charge=+1 e_above_lowest_kj_mol=463.8 e_homo_ev="-11.64 / -11.14" gap_ev="6.69 / 6.05" spin_multiplicity=1
C -2.099 2.333 -0.956
C -0.685 0.698 -0.718
C -1.005 2.043 -2.944
C 0.959 -1.577 1.714
C 0.589 -0.858 0.562
C 1.980 -2.471 1.721
C -0.429 0.084 0.487
C -0.723 2.542 -4.311
C 2.429 -3.188 2.930
C -1.282 0.436 1.670
O -1.898 2.550 -2.190
S -0.024 0.738 -2.233
H -3.071 2.294 -0.514
H 0.418 -1.399 2.632
H 1.151 -1.056 -0.344
H 2.517 -2.667 0.802
H -1.260 1.952 -5.056
H 0.339 2.475 -4.536
H -1.043 3.578 -4.404
H 3.179 -3.938 2.699
H 2.859 -2.474 3.638
H 1.593 -3.660 3.446
H -2.021 -0.346 1.844
H -1.802 1.373 1.496
H -0.673 0.537 2.563

---

24
Properties=species:S:1:pos:R:3 method="wB97M-V/def2-TZVPD" lumo_energy_ev=0.13 e_above_lowest_kj_mol=7.7 e_homo_ev=-8.73 smiles="C=Pc1c(C)cc(C)cc1C" gap_ev=8.86 spin_multiplicity=1
C -0.477 -0.455 -3.447
P -1.683 -0.662 -2.271
C -0.653 -0.160 -0.781
C -0.494 1.148 -0.303
C -0.993 2.433 -0.903
C 0.066 1.274 0.965
C 0.514 0.199 1.726
C 1.144 0.465 3.066
C 0.383 -1.049 1.185
C -0.260 -1.254 -0.034
C -0.349 -2.677 -0.395
H -0.940 -0.430 -4.384
H 0.415 0.144 -3.499
H -1.541 3.101 -0.103
H -0.132 2.991 -1.226
H -1.828 2.169 -1.757
H 0.267 2.253 1.319
H 2.027 1.120 2.853
H 0.350 0.929 3.760
H 1.531 -0.481 3.404
H 0.559 -1.841 1.967
H 0.378 -3.050 -1.111
H -0.210 -3.277 0.547
H -1.320 -2.838 -0.969

---

24
Properties=species:S:1:pos:R:3 method="wB97M-V/def2-TZVPD" lumo_energy_ev="-0.76 / -0.76" e_above_lowest_kj_mol=394.7 e_homo_ev="-8.03 / -8.03" gap_ev="7.27 / 7.27" spin_multiplicity=1
C 2.043 -0.147 -2.558
C 1.919 1.243 -2.317
C 1.195 -1.087 -1.998
C 0.873 1.633 -1.493
C 0.274 -0.663 -1.061
C 0.079 0.685 -0.897
C -0.882 -1.413 -0.574
C -0.877 1.092 0.178
C 0.451 -0.467 2.123
C -2.571 -0.484 1.896
P -0.981 -0.681 1.012
H 2.800 -0.634 -3.180
H 2.532 2.066 -2.679
H 1.565 -2.000 -2.322
H 0.785 2.625 -1.219
H -0.724 -2.180 1.412
H -0.462 1.905 0.736
H -1.848 1.272 -0.163
H 0.145 -0.450 3.124
H 1.125 -1.295 1.731
H 1.027 0.424 1.962
H -2.423 -0.857 2.803
H -2.820 0.485 2.198
H -3.224 -1.075 1.284

---

41
Properties=species:S:1:pos:R:3 method="wB97M-V/def2-TZVPD" lumo_energy_ev="-5.77 / -9.49" charge=+2 e_above_lowest_kj_mol=33.8 e_homo_ev="-14.95 / -14.95" gap_ev="9.18 / 5.47" spin_multiplicity=2
Ba -0.064 -0.859 0.148
N 3.295 -1.438 0.509
C 2.808 -2.735 0.580
N 3.483 -3.639 1.241
C 2.913 -4.860 1.272
N 3.545 -5.822 1.923
N 1.733 -5.170 0.681
C 1.136 -4.174 0.083
N 1.612 -2.919 -0.015
C -0.218 -4.420 -0.486
C -0.625 -5.703 -0.803
C -1.907 -5.892 -1.298
C -2.736 -4.794 -1.445
C -2.245 -3.545 -1.104
N -1.007 -3.344 -0.647
H 4.183 -1.337 0.986
H 3.354 -1.088 -0.438
H 4.422 -5.629 2.376
H 3.144 -6.744 1.965
H 0.052 -6.529 -0.645
H -2.253 -6.884 -1.556
H -3.748 -4.895 -1.812
H -2.879 -2.670 -1.199
F -2.213 -0.406 1.618
As -1.438 -0.177 3.221
F -0.324 0.907 2.251
F -2.416 1.201 3.491
F -0.486 0.085 4.590
F -0.360 -1.478 2.672
F -2.507 -1.264 3.935
C -3.231 5.890 2.493
N -2.594 5.362 1.287
C -1.842 4.284 1.279
N -1.521 3.640 2.378
S -1.258 3.688 -0.266
H -3.894 6.699 2.207
H -2.479 6.276 3.183
H -3.820 5.109 2.976
H -2.712 5.853 0.413
H -1.811 3.960 3.292
H -1.059 2.738 2.334

---

39
└──

Done =
H 2.532 2.066 -2.679
H 1.565 -2.000 -2.322
H 0.785 2.625 -1.219
H -0.724 -2.180 1.412
H -0.462 1.905 0.736
H -1.848 1.272 -0.163
H 0.145 -0.450 3.124
H 1.125 -1.295 1.731
H 1.027 0.424 1.962
H -2.423 -0.857 2.803
H -2.820 0.485 2.198
H -3.224 -1.075 1.284

---

41
Properties=species:S:1:pos:R:3 method="wB97M-V/def2-TZVPD" lumo_energy_ev="-5.77 / -9.49" charge=+2 e_above_lowest_kj_mol=33.8 e_homo_ev="-14.95 / -14.95" gap_ev="9.18 / 5.47" spin_multiplicity=2
Ba -0.064 -0.859 0.148
N 3.295 -1.438 0.509
C 2.808 -2.735 0.580
N 3.483 -3.639 1.241
C 2.913 -4.860 1.272
N 3.545 -5.822 1.923
N 1.733 -5.170 0.681
C 1.136 -4.174 0.083
N 1.612 -2.919 -0.015
C -0.218 -4.420 -0.486
C -0.625 -5.703 -0.803
C -1.907 -5.892 -1.298
C -2.736 -4.794 -1.445
C -2.245 -3.545 -1.104
N -1.007 -3.344 -0.647
H 4.183 -1.337 0.986
H 3.354 -1.088 -0.438
H 4.422 -5.629 2.376
H 3.144 -6.744 1.965
H 0.052 -6.529 -0.645
H -2.253 -6.884 -1.556
H -3.748 -4.895 -1.812
H -2.879 -2.670 -1.199
F -2.213 -0.406 1.618
As -1.438 -0.177 3.221
F -0.324 0.907 2.251
F -2.416 1.201 3.491
F -0.486 0.085 4.590
F -0.360 -1.478 2.672
F -2.507 -1.264 3.935
C -3.231 5.890 2.493
N -2.594 5.362 1.287
C -1.842 4.284 1.279
N -1.521 3.640 2.378
S -1.258 3.688 -0.266
H -3.894 6.699 2.207
H -2.479 6.276 3.183
H -3.820 5.109 2.976
H -2.712 5.853 0.413
H -1.811 3.960 3.292
H -1.059 2.738 2.334

---

39